........
{
  "formula": "Dy6Fe16O",
  "functional": "PBE+U",
  "state": "relaxed",
  "formation_enthalpy_0k_ev_per_atom": 0.783,
  "magnetic_moment_mub_per_cell": 51.53,
  "lattice_angstrom": [[7.537, -0.765, 3.068], [-1.153, 7.694, -2.506], [-5.490, -1.838, 5.769]],
  "species": ["Dy", "Dy", "Dy", "Dy", "Dy", "Dy", "Fe", "Fe", "Fe", "Fe", "Fe", "Fe", "Fe", "Fe", "Fe", "Fe", "Fe", "Fe", "Fe", "Fe", "Fe", "Fe", "O"],
  "fractional_positions": [[0.263, 0.000, 0.263], [0.000, 0.263, 0.263], [0.000, 0.737, 0.737], [0.263, 0.263, 0.000], [0.737, 0.737, 0.000], [0.737, 0.000, 0.737], [0.000, 0.000, 0.500], [0.500, 0.000, 0.000], [0.000, 0.500, 0.000], [0.500, 0.500, 0.500], [0.337, 0.000, 0.663], [0.674, 0.337, 0.337], [0.000, 0.337, 0.663], [0.663, 0.663, 0.326], [0.337, 0.663, 0.000], [0.337, 0.674, 0.337], [0.663, 0.326, 0.663], [0.337, 0.337, 0.674], [0.326, 0.663, 0.663], [0.663, 0.337, 0.000], [0.000, 0.663, 0.337], [0.663, 0.000, 0.337], [0.000, 0.000, 0.000]]
}
........
Your job: count the lines above that contain the word "Dy6Fe16O" and give the number alone.
1